• What to do:
Next, return everything further below with every line break kept.

• Entries:
No. 1
LuSiO3: simulated powder diffractogram (Cu Kα X-rays), based on a cell relaxed with PBE.
Kinematic intensities with the Lorentz-polarization factor, no thermal factor.

abc: 3.6804 3.6804 3.6804
angles: 90.00 90.00 90.00
Fractional positions:
Lu 0.0000 0.0000 0.0000
Si 0.5000 0.5000 0.5000
O 0.0000 0.5000 0.5000
O 0.5000 0.0000 0.5000
O 0.5000 0.5000 0.0000

Top 10 peaks for 10° ≤ 2θ ≤ 90°, by angle:
- 3.680 Å, intensity 56
- 2.602 Å, intensity 100
- 2.125 Å, intensity 40
- 1.840 Å, intensity 32
- 1.646 Å, intensity 26
- 1.503 Å, intensity 39
- 1.301 Å, intensity 19
- 1.227 Å, intensity 13
- 1.164 Å, intensity 18
- 1.110 Å, intensity 14

---

No. 2
YMg: simulated powder diffractogram (Cu Kα X-rays), based on a cell relaxed with PBE.
Kinematic intensities with the Lorentz-polarization factor, no thermal factor.

abc: 3.8025 3.8025 3.8025
angles: 90.00 90.00 90.00
Fractional positions:
Y 0.0000 0.0000 0.0000
Mg 0.5000 0.5000 0.5000

Top 10 peaks for 10° ≤ 2θ ≤ 90°, by angle:
- 3.802 Å, intensity 39
- 2.689 Å, intensity 100
- 2.195 Å, intensity 11
- 1.901 Å, intensity 18
- 1.701 Å, intensity 15
- 1.552 Å, intensity 36
- 1.344 Å, intensity 11
- 1.267 Å, intensity 7
- 1.202 Å, intensity 15
- 1.146 Å, intensity 4

---

No. 3
Lu5Si3: simulated powder diffractogram (Cu Kα X-rays), based on a cell relaxed with PBE.
Kinematic intensities with the Lorentz-polarization factor, no thermal factor.

abc: 8.2355 8.2355 6.1685
angles: 90.00 90.00 120.00
Fractional positions:
Lu 0.0000 0.2419 0.2500
Lu 0.0000 0.7581 0.7500
Lu 0.2419 0.0000 0.2500
Lu 0.2419 0.2419 0.7500
Lu 0.3333 0.6667 0.0000
Lu 0.3333 0.6667 0.5000
Lu 0.6667 0.3333 0.0000
Lu 0.6667 0.3333 0.5000
Lu 0.7581 0.0000 0.7500
Lu 0.7581 0.7581 0.2500
Si 0.0000 0.3951 0.7500
Si 0.0000 0.6049 0.2500
Si 0.3951 0.0000 0.7500
Si 0.3951 0.3951 0.2500
Si 0.6049 0.0000 0.2500
Si 0.6049 0.6049 0.7500

Top 10 peaks for 10° ≤ 2θ ≤ 90°, by angle:
- 3.566 Å, intensity 19
- 3.425 Å, intensity 27
- 2.831 Å, intensity 29
- 2.696 Å, intensity 28
- 2.469 Å, intensity 100
- 2.377 Å, intensity 20
- 1.712 Å, intensity 16
- 1.635 Å, intensity 19
- 1.556 Å, intensity 12
- 1.543 Å, intensity 23

---

No. 4
AcBr3: simulated powder diffractogram (Cu Kα X-rays), based on a cell relaxed with PBE.
Kinematic intensities with the Lorentz-polarization factor, no thermal factor.

abc: 8.2516 8.2516 4.7190
angles: 90.00 90.00 120.00
Fractional positions:
Ac 0.3333 0.6667 0.2500
Ac 0.6667 0.3333 0.7500
Br 0.0866 0.3887 0.7500
Br 0.3021 0.9134 0.7500
Br 0.3887 0.3021 0.2500
Br 0.6113 0.6979 0.7500
Br 0.6979 0.0866 0.2500
Br 0.9134 0.6113 0.2500

Top 10 peaks for 10° ≤ 2θ ≤ 90°, by angle:
- 7.146 Å, intensity 84
- 3.938 Å, intensity 38
- 3.106 Å, intensity 42
- 2.849 Å, intensity 100
- 2.701 Å, intensity 23
- 2.382 Å, intensity 37
- 2.359 Å, intensity 25
- 2.344 Å, intensity 74
- 1.676 Å, intensity 26
- 1.549 Å, intensity 36

---

No. 5
Tb2Mn12P7: simulated powder diffractogram (Cu Kα X-rays), based on a cell relaxed with PBE.
Kinematic intensities with the Lorentz-polarization factor, no thermal factor.

abc: 9.3147 9.3147 3.6048
angles: 90.00 90.00 120.00
Fractional positions:
Tb 0.0000 0.0000 0.0000

• Result:
No. 1
LuSiO3: simulated powder diffractogram (Cu Kα X-rays), based on a cell relaxed with PBE.
Kinematic intensities with the Lorentz-polarization factor, no thermal factor.

abc: 3.6804 3.6804 3.6804
angles: 90.00 90.00 90.00
Fractional positions:
Lu 0.0000 0.0000 0.0000
Si 0.5000 0.5000 0.5000
O 0.0000 0.5000 0.5000
O 0.5000 0.0000 0.5000
O 0.5000 0.5000 0.0000

Top 10 peaks for 10° ≤ 2θ ≤ 90°, by angle:
- 3.680 Å, intensity 56
- 2.602 Å, intensity 100
- 2.125 Å, intensity 40
- 1.840 Å, intensity 32
- 1.646 Å, intensity 26
- 1.503 Å, intensity 39
- 1.301 Å, intensity 19
- 1.227 Å, intensity 13
- 1.164 Å, intensity 18
- 1.110 Å, intensity 14

---

No. 2
YMg: simulated powder diffractogram (Cu Kα X-rays), based on a cell relaxed with PBE.
Kinematic intensities with the Lorentz-polarization factor, no thermal factor.

abc: 3.8025 3.8025 3.8025
angles: 90.00 90.00 90.00
Fractional positions:
Y 0.0000 0.0000 0.0000
Mg 0.5000 0.5000 0.5000

Top 10 peaks for 10° ≤ 2θ ≤ 90°, by angle:
- 3.802 Å, intensity 39
- 2.689 Å, intensity 100
- 2.195 Å, intensity 11
- 1.901 Å, intensity 18
- 1.701 Å, intensity 15
- 1.552 Å, intensity 36
- 1.344 Å, intensity 11
- 1.267 Å, intensity 7
- 1.202 Å, intensity 15
- 1.146 Å, intensity 4

---

No. 3
Lu5Si3: simulated powder diffractogram (Cu Kα X-rays), based on a cell relaxed with PBE.
Kinematic intensities with the Lorentz-polarization factor, no thermal factor.

abc: 8.2355 8.2355 6.1685
angles: 90.00 90.00 120.00
Fractional positions:
Lu 0.0000 0.2419 0.2500
Lu 0.0000 0.7581 0.7500
Lu 0.2419 0.0000 0.2500
Lu 0.2419 0.2419 0.7500
Lu 0.3333 0.6667 0.0000
Lu 0.3333 0.6667 0.5000
Lu 0.6667 0.3333 0.0000
Lu 0.6667 0.3333 0.5000
Lu 0.7581 0.0000 0.7500
Lu 0.7581 0.7581 0.2500
Si 0.0000 0.3951 0.7500
Si 0.0000 0.6049 0.2500
Si 0.3951 0.0000 0.7500
Si 0.3951 0.3951 0.2500
Si 0.6049 0.0000 0.2500
Si 0.6049 0.6049 0.7500

Top 10 peaks for 10° ≤ 2θ ≤ 90°, by angle:
- 3.566 Å, intensity 19
- 3.425 Å, intensity 27
- 2.831 Å, intensity 29
- 2.696 Å, intensity 28
- 2.469 Å, intensity 100
- 2.377 Å, intensity 20
- 1.712 Å, intensity 16
- 1.635 Å, intensity 19
- 1.556 Å, intensity 12
- 1.543 Å, intensity 23

---

No. 4
AcBr3: simulated powder diffractogram (Cu Kα X-rays), based on a cell relaxed with PBE.
Kinematic intensities with the Lorentz-polarization factor, no thermal factor.

abc: 8.2516 8.2516 4.7190
angles: 90.00 90.00 120.00
Fractional positions:
Ac 0.3333 0.6667 0.2500
Ac 0.6667 0.3333 0.7500
Br 0.0866 0.3887 0.7500
Br 0.3021 0.9134 0.7500
Br 0.3887 0.3021 0.2500
Br 0.6113 0.6979 0.7500
Br 0.6979 0.0866 0.2500
Br 0.9134 0.6113 0.2500

Top 10 peaks for 10° ≤ 2θ ≤ 90°, by angle:
- 7.146 Å, intensity 84
- 3.938 Å, intensity 38
- 3.106 Å, intensity 42
- 2.849 Å, intensity 100
- 2.701 Å, intensity 23
- 2.382 Å, intensity 37
- 2.359 Å, intensity 25
- 2.344 Å, intensity 74
- 1.676 Å, intensity 26
- 1.549 Å, intensity 36

---

No. 5
Tb2Mn12P7: simulated powder diffractogram (Cu Kα X-rays), based on a cell relaxed with PBE.
Kinematic intensities with the Lorentz-polarization factor, no thermal factor.

abc: 9.3147 9.3147 3.6048
angles: 90.00 90.00 120.00
Fractional positions:
Tb 0.0000 0.0000 0.0000